Derive The Linear Density Expressions For Fcc 100

Derive the linear density expressions for fcc 100 – In the realm of crystallography, the derivation of linear density expressions holds immense significance for understanding the fundamental properties of crystal planes. Among these, the linear density expression for the face-centered cubic (FCC) 100 plane stands out as a key metric, providing valuable insights into its structural characteristics and behavior.

This discourse delves into the intricate mathematical derivation of the linear density expression for the FCC 100 plane, elucidating its importance and applications in various fields of science and engineering.

Linear Density Expression for FCC 100 Plane

Derive the linear density expressions for fcc 100

In crystallography, the linear density expression provides a measure of the atomic arrangement along a specific crystallographic direction. For the face-centered cubic (fcc) 100 plane, the linear density expression quantifies the number of atoms per unit length along the [100] direction.

Records of molecules from another source follow:
=====
The following is a quantum chemistry calculation of a structure of composition C23H25N2OZn, from the OMol25 dataset.

For the HOMO energy, the calculation gives -4.226 eV. The HOMO-LUMO gap comes out at 6.9 eV. As for the net charge: -1.

```
52
Properties=species:S:1:pos:R:3:forces:R:3:mulliken_charge:R:1
C -0.027059 3.117570 2.173060 0.0 -1.0 0.1 -0.48
C -0.946499 2.032889 2.011095 0.9 -0.2 0.6 -1.16
C -0.194101 0.848087 1.867519 -0.1 0.2 0.2 0.22
H -2.023166 2.086528 2.115120 0.1 0.1 -0.2 0.42
C 1.185711 1.165800 1.915355 -0.4 0.3 0.1 0.03
C 1.302145 2.566980 2.103851 -0.5 -0.5 0.2 -1.32
H 2.005413 0.450591 1.917568 -0.1 0.2 -0.1 0.42
C -0.575695 3.487473 -2.184589 -0.4 -0.3 0.9 -1.31
C -1.633625 3.244733 -1.231558 0.0 -0.1 -0.9 -0.69
C -1.813002 1.834173 -1.122773 0.5 -0.1 -0.8 -0.81
H -2.281717 4.003134 -0.802005 0.1 -0.1 -0.2 0.46
C -0.803367 1.210708 -1.897818 -0.2 1.1 0.3 0.67
C 0.037908 2.232756 -2.464607 -0.6 -0.2 0.0 -0.96
H -0.595447 -0.154910 1.819800 -0.1 0.0 -0.2 0.34
H 2.210916 3.080708 2.380392 0.0 0.2 -0.4 0.55
H -0.268234 4.094230 2.567451 0.0 0.1 -0.4 0.53
H 0.887764 2.018127 -3.121471 -0.5 0.4 0.2 0.42
H -2.661611 1.320889 -0.666915 0.5 0.3 0.2 0.44
H -0.420162 4.439510 -2.684829 0.5 -0.1 0.5 0.52
Zn 0.440256 3.049530 -0.115983 -0.6 0.2 0.2 0.76
C -0.692375 -0.228148 -2.291247 0.6 -0.5 0.5 2.96
C -0.478310 -0.328179 -3.808009 -0.2 -0.3 0.0 -1.99
C -1.960406 -0.996824 -1.912612 0.0 -0.1 -0.1 -2.25
H -1.307630 0.166684 -4.316239 0.0 0.1 0.0 0.45
H -0.442774 -1.373569 -4.109531 0.0 0.1 -0.1 0.49
H 0.445563 0.152561 -4.121097 0.1 0.0 0.0 0.32
H -2.820572 -0.541211 -2.412505 0.0 -0.1 0.1 0.51
H -2.132700 -0.980491 -0.831130 0.0 0.0 -0.1 0.27
H -1.878386 -2.037907 -2.241184 0.0 0.1 0.0 0.46
C 0.510552 -0.815516 -1.501420 0.1 -0.5 -0.1 -0.45
C 0.873722 -2.278628 -1.799022 -0.2 0.2 0.3 0.10
H 0.316374 -0.693729 -0.420151 0.0 0.0 -0.4 -0.39
H 1.426848 -0.230313 -1.700902 -0.3 -0.1 0.0 0.53
O 0.548418 -2.894815 -2.806508 0.3 0.1 0.4 -0.69
N 1.617263 -2.903731 -0.825382 0.6 0.2 -0.2 -0.03
C 2.059294 -2.344904 0.453873 -0.3 -0.1 -0.4 -1.10
H 1.993940 -3.800829 -1.107664 -0.2 0.2 0.1 0.27
C 1.019839 -2.536288 1.543813 -0.3 -0.3 0.3 0.91
C 1.340030 -2.170598 2.858865 -0.5 -0.1 -0.1 -0.21
H 2.338554 -1.769383 3.066887 -0.4 0.0 0.0 0.34
C 0.394424 -2.321623 3.879018 -0.1 -0.2 -0.2 -0.56
H 0.642944 -2.008542 4.898266 -0.1 -0.1 -0.4 0.35
C -0.862929 -2.889210 3.600009 0.1 0.1 -0.2 -0.46
H -1.595144 -3.034961 4.406901 0.4 0.1 -0.4 0.34
C -1.175658 -3.283277 2.288531 0.4 0.1 0.1 -0.61
H -2.146261 -3.736431 2.051206 0.4 0.2 0.2 0.37
C -0.229867 -3.114192 1.262020 0.0 0.1 0.5 -0.21
H -0.454433 -3.466301 0.247960 0.1 0.3 0.5 0.36
H 2.299273 -1.269827 0.349737 -0.1 -0.5 0.0 0.11
H 2.978498 -2.873024 0.742602 -0.1 0.2 -0.1 0.52
N 2.070010 5.742601 0.024611 -1.1 -1.8 -0.1 -0.72
C 1.475471 4.731101 -0.048358 1.7 2.4 -0.3 -0.04
```
Forces are in eV/Å.
=====
End of the records of molecules:

Derivation of the Linear Density Expression

== Someone pasted calculated molecules at this point ==
<<<
40
Properties=species:S:1:pos:R:3 method="wB97M-V/def2-TZVPD" total_energy_ev=-53486.445 e_homo_ev="0.83 / 0.85" gap_ev="3.7430 / 3.7230" multiplicity=1 charge=-2 relative_energy_kj_mol=109.98
Pd -0.374 0.160 0.622
Cl -4.419 -2.615 -1.702
C -2.931 -2.076 -2.467
C -2.771 -2.298 -3.825
C -1.636 -1.894 -4.484
Cl -1.501 -2.205 -6.222
C -0.589 -1.242 -3.791
C 0.615 -0.806 -4.388
C 1.567 -0.205 -3.613
C 1.330 -0.021 -2.241
N 0.215 -0.395 -1.655
C -0.742 -1.004 -2.391
C -1.956 -1.418 -1.648
O -2.089 -1.189 -0.443
H -3.559 -2.798 -4.375
H 0.773 -0.963 -5.447
H 2.504 0.125 -4.047
H 2.070 0.438 -1.593
C -0.989 4.846 1.962
C -0.806 4.494 0.632
C -0.591 3.167 0.295
N -0.549 2.160 1.192
C -0.701 2.521 2.484
C -0.927 3.825 2.900
H -1.165 5.874 2.256
H -0.836 5.242 -0.152
H -0.454 2.863 -0.734
H -0.635 1.706 3.190
H -1.048 4.031 3.957
C 1.031 -2.131 4.010
C 1.790 -1.333 2.928
C 3.193 -1.954 2.756
O 1.115 -1.260 1.776
H 1.575 -2.181 4.967
H 0.860 -3.149 3.636
H 0.055 -1.666 4.175
H 1.981 -0.323 3.402
H 3.077 -2.966 2.349
H 3.761 -2.003 3.700
H 3.756 -1.359 2.030

---

25
Properties=species:S:1:pos:R:3 method="wB97M-V/def2-TZVPD" total_energy_ev=-39369.055 e_homo_ev=-8.04 gap_ev=8.5978 multiplicity=1 relative_energy_kj_mol=11.49 smiles="NC(=O)N(S)N1CCc2cc(Cl)ccc21"
C 1.716 1.303 -0.423
C 2.320 2.232 0.329
C 0.581 2.113 2.046
C -0.135 1.171 1.267
C 0.509 0.700 0.061
C 1.799 2.550 1.570
C 0.645 -1.614 -2.371
C -1.469 0.461 1.443
C -1.340 -0.692 0.429
N -0.158 -0.421 -0.334
N 1.343 -2.328 -1.469
N -0.283 -0.763 -1.792
O 0.808 -1.700 -3.549
S -0.930 0.407 -2.952
Cl 2.678 3.659 2.574
H 2.039 1.012 -1.453
H 3.215 2.797 0.175
H 0.189 2.407 2.912
H -1.830 0.201 2.389
H -2.253 1.194 1.203
H -1.195 -1.674 0.848
H -2.234 -0.563 -0.235
H 1.170 -2.142 -0.477
H 1.955 -3.108 -1.889
H -1.775 -0.486 -3.529

---

23
Properties=species:S:1:pos:R:3 method="wB97M-V/def2-TZVPD" total_energy_ev=-11012.913 e_homo_ev=-7.70 gap_ev=8.4120 multiplicity=1 relative_energy_kj_mol=99.71
C -0.184 0.969 2.191
N 0.764 0.417 1.236
C 0.367 -0.681 0.467
C 0.763 -0.840 -0.812
C 0.396 -2.028 -1.665
C -0.475 -1.685 1.202
H -1.210 1.243 1.941
H -0.176 0.425 3.140
H 0.309 1.897 2.498
H 1.177 1.146 0.675
H 1.437 -0.066 -1.142
H 0.889 -1.940 -2.630
H 0.668 -2.985 -1.205
H -0.683 -2.148 -1.750
H -1.487 -1.298 1.321
H -0.011 -1.973 2.145
H -0.569 -2.606 0.621
H 0.834 3.791 -0.774
H -0.043 2.562 -1.052
O 0.727 2.865 -0.539
H -0.672 0.519 -1.569
H -1.516 1.156 -2.619
O -1.306 1.259 -1.682

---

11
Properties=species:S:1:pos:R:3 method="wB97M-V/def2-TZVPD" total_energy_ev=-7199.265 e_homo_ev=-9.68 gap_ev=10.5204 multiplicity=1 relative_energy_kj_mol=50.38 smiles="CNC(N)=O"
C 0.099 -0.916 1.427
N -0.268 -0.416 0.145
C 0.475 0.520 -0.625
N -0.227 0.863 -1.809
O 1.429 1.171 -0.261
H -0.383 -0.398 2.257
H -0.255 -1.949 1.511
H 1.187 -0.919 1.440
H -1.030 -0.808 -0.390
H -1.158 1.147 -1.421
H 0.132 1.706 -2.273

---

13
>>>

To derive the linear density expression for the fcc 100 plane, we consider a unit cell with lattice parameter a. The [100] direction is parallel to one of the cube’s edges, and there are two atoms on this edge. Since there are four edges in a unit cell, the total number of atoms along the [100] direction is 8.

The length of the [100] direction is a, so the linear density expression is given by:

ρ100= 8 / a

This expression represents the number of atoms per unit length along the [100] direction in the fcc 100 plane.

Significance of the Linear Density Expression

The linear density expression is important for understanding the properties of the fcc 100 plane. A higher linear density indicates a denser packing of atoms along the [100] direction, which can affect the plane’s reactivity, strength, and other physical properties.

In crystallography, the linear density expression is used to determine crystal orientation, predict crystal growth, and design materials with specific properties. It also plays a role in materials science, where it helps researchers understand the behavior of materials under different conditions.

Comparison to Other Crystal Planes

The linear density expression for the fcc 100 plane differs from those of other crystal planes. For example, the fcc 110 plane has a linear density expression of 4 / a√2, while the fcc 111 plane has a linear density expression of 3 / a√3.

These differences in linear density reflect the varying atomic arrangements along different crystallographic directions. The denser packing of atoms in the fcc 100 plane compared to the fcc 110 and fcc 111 planes contributes to its distinct properties.

Applications of the Linear Density Expression, Derive the linear density expressions for fcc 100

**Molecular data from another source follow:**
********
9
Properties=species:S:1:pos:R:3:nbo_charge:R:1 method="wB97M-V/def2-TZVPD" relative_energy_ev=0.788 total_energy_ev=-13683.58406 smiles="O=C(F)C(O)(O)F" lumo_energy_ha=0.0090
C 1.2815 -0.3516 -0.1845 0.80
C -0.2461 -0.1335 0.0922 0.73
O 1.9308 0.4609 -0.7494 -0.50
O -0.9324 0.0180 -1.0699 -0.68
O -0.3177 0.9836 0.9191 -0.71
F 1.8363 -1.3777 0.3948 -0.29
F -0.6361 -1.2616 0.7217 -0.33
H -1.9017 -0.0244 -0.7961 0.49
H -1.0146 1.6863 0.6721 0.51

9
Properties=species:S:1:pos:R:3:nbo_charge:R:1 method="wB97M-V/def2-TZVPD" relative_energy_ev=5.633 total_energy_ev=-13678.73916 smiles="O=C(F)C(O)(O)F" lumo_energy_ha="-0.0597 / -0.0591"
C 1.1520 0.1231 -0.1558 0.81
C -0.3951 0.3559 0.2457 0.76
O 1.5045 -1.5791 -0.3164 -0.69
O -0.9690 -0.8708 0.3162 -0.71
O -1.0462 1.0304 -0.6623 -0.68
F 2.1644 0.8247 -0.2332 -0.21
F -0.3903 1.1200 1.4289 -0.34
H -0.2406 -1.5857 0.3956 0.55
H -1.7796 0.5815 -1.0188 0.52

9
Properties=species:S:1:pos:R:3:nbo_charge:R:1 method="wB97M-V/def2-TZVPD" relative_energy_ev=0.316 total_energy_ev=-13678.76677 spin_multiplicity=3 lumo_energy_ha="0.0185 / -0.0791"
C 0.8664 -0.9065 1.0001 0.80
C -0.2970 0.5970 -0.6297 0.76
O 0.9556 -2.1038 0.9567 -0.50
O -0.4660 1.6864 0.1304 -0.67
O -1.2096 -0.2033 -1.0935 -0.73
F 1.4955 -0.1704 1.9283 -0.32
F 0.7383 0.7087 -1.5125 -0.36
H -1.0327 1.3641 0.8382 0.49
H -1.0506 -0.9722 -1.6180 0.53

7
Properties=species:S:1:pos:R:3:nbo_charge:R:1 method="wB97M-V/def2-TZVPD" relative_energy_ev=2.016 total_energy_ev=-18373.77325 lumo_energy_ha=0.0109
C -0.6848 0.1001 -0.7940 0.06
C -0.5988 -0.5018 0.5582 -0.06
F -1.1511 -0.7561 -1.7481 -0.32
F -1.1864 -2.1285 0.4278 -0.47
S -1.8455 0.6754 0.4802 0.29
H -0.0020 0.8323 -1.4027 0.23
H 0.2455 -0.7680 1.3781 0.28

7
Properties=species:S:1:pos:R:3:nbo_charge:R:1 method="wB97M-V/def2-TZVPD" relative_energy_ev=0.592 total_energy_ev=-18375.19700 smiles=FC1(F)CS1 lumo_energy_ha=0.0244
C 0.4001 -0.2895 -0.6864 -0.55
C -0.3391 0.3309 0.4932 0.59
F 0.0600 1.2939 1.3381 -0.31
F -1.6788 0.4657 0.4746 -0.32
S 0.3090 -1.3164 0.8398 0.11
H -0.2037 -0.2776 -1.5778 0.24
H 1.4526 -0.2070 -0.8815 0.25

7
Properties=species:S:1:pos:R:3:nbo_charge:R:1 method="wB97M-V/def2-TZVPD" relative_energy_ev=0.851 total_energy_ev=-18370.63864 spin_multiplicity=3 lumo_energy_ha="0.0271 / -0.1237"
C 0.8223 0.1046 0.0221 -0.75
C -0.7516 -0.1419 -0.0595 0.44
F -1.2921 -0.7704 -1.0731 -0.31
F -1.2238 -0.8191 0.9685 -0.32
S -0.3323 1.5856 -0.1029 0.47
H 1.2613 0.0608 0.9603 0.24
H 1.5163 -0.0196 -0.7153 0.23

~~~~~

Record 1
The following is a DFT calculation (the ωB97M-V functional and the def2-TZVPD basis) of a structure of composition C3H6N3S2 in a non-equilibrium geometry.

Atoms and positions in Å:
1 C -1.8983 -2.2971 -1.3916
2 C -1.5572 0.1389 -1.4638
3 C 0.0832 0.5585 0.0550
4 N 0.6891 1.4511 0.8519
5 N 0.2472 -0.7197 -0.1551
6 N -0.7979 1.1000 -0.8627
7 S -2.2930 -2.3866 -2.9179
8 S -2.4803 0.2901 -2.7346
9 H -2.0014 -3.1888 -0.9068
10 H 1.3684 1.2296 1.5696
11 H 0.2935 2.4145 0.9737
********

The linear density expression has practical applications in various fields:

  • Crystal orientation:By measuring the linear density along different crystallographic directions, researchers can determine the orientation of a crystal.
  • Crystal growth:The linear density expression helps predict the growth rate of crystals along specific directions.
  • Materials design:By controlling the linear density, materials scientists can design materials with tailored properties for specific applications.

FAQ Guide: Derive The Linear Density Expressions For Fcc 100

What is the significance of the linear density expression for the FCC 100 plane?

The linear density expression quantifies the number of atoms per unit length along a specific direction in the FCC 100 plane. It provides insights into the atomic arrangement and packing efficiency of the crystal structure.

How is the linear density expression used in practical applications?

The linear density expression finds applications in determining crystal orientation, predicting crystal growth patterns, and designing materials with tailored properties. It aids in understanding the behavior of crystals under various conditions.